Looking at Emily, this was likely my only chance to finally talk to her. I’d already disturbed her with my coughing. Fuck it. It was time to strike up a conversation. Except, what came out of my mouth was not the type of opening to a conversation I actually wanted to have.

“Excuse me, is penis enlargement a real thing?”

As soon as the words came out of my mouth, my blood drained out of my body and she stared at me with wide horrified eyes. What the actual fuck, Ryan?

“No! That’s not. Um. Shit.” I stumbled over the words.

What comes next are data records, not part of the article.
<<<
This entry pairs a crystal structure of MgZn2Sb2 with its computed XRD peak list. Radiation: Cu Kα. Structure: a structure optimized by DFT (PBE).

Most intense lines, 10 to 80 degrees two-theta, in order of rising 2θ:
two_theta	intensity
23.42	73
24.61	32
26.51	76
34.23	94
41.17	100
44.50	82
48.55	30
54.58	24
62.22	29
69.51	18
70.59	21
77.36	31

Structure:
Unit cell a=4.385 b=4.385 c=7.236 alpha=90.00 beta=90.00 gamma=120.00
Fractional coordinates of all 5 atoms:
Mg 0.000 0.000 0.000
Zn 0.333 0.667 0.621
Zn 0.667 0.333 0.379
Sb 0.333 0.667 0.234
Sb 0.667 0.333 0.766

---

This entry pairs a crystal structure of NaLiCO3 with its computed XRD peak list. Radiation: Cu Kα. Structure: a structure optimized by DFT (PBE).

Most intense lines, 10 to 80 degrees two-theta, in order of rising 2θ:
two_theta	intensity
21.11	44
28.95	100
32.49	25
33.87	57
36.10	34
36.99	13
42.98	24
44.82	13
45.88	19
51.02	40
53.87	22
57.34	15

Structure:
Unit cell a=8.418 b=8.418 c=3.404 alpha=90.00 beta=90.00 gamma=120.00
Fractional coordinates of all 18 atoms:
Na 0.000 0.656 0.000
Na 0.344 0.344 0.000
Na 0.656 0.000 0.000
Li 0.000 0.290 0.500
Li 0.290 0.000 0.500
Li 0.710 0.710 0.500
C 0.000 0.000 0.000
C 0.333 0.667 0.500
C 0.667 0.333 0.500
O 0.000 0.154 0.000
O 0.154 0.000 0.000
O 0.237 0.748 0.500
O 0.252 0.488 0.500
O 0.488 0.252 0.500
O 0.512 0.763 0.500
O 0.748 0.237 0.500
O 0.763 0.512 0.500
O 0.846 0.846 0.000

---

This entry pairs a crystal structure of LaSb2 with its computed XRD peak list. Radiation: Cu Kα. Structure: a structure optimized by DFT (PBE).

Most intense lines, 10 to 80 degrees two-theta, in order of rising 2θ:
two_theta	intensity
24.47	17
28.69	42
29.67	52
31.76	100
34.11	42
35.10	27
40.53	54
47.30	19
48.35	18
53.39	17
66.90	12
67.65	22

Structure:
Unit cell a=4.483 b=4.483 c=18.671 alpha=90.00 beta=90.00 gamma=89.62
Fractional coordinates of all 12 atoms:
La 0.136 0.864 0.890
La 0.364 0.636 0.390
La 0.636 0.364 0.610
La 0.864 0.136 0.110
Sb 0.127 0.373 0.750
Sb 0.130 0.870 0.563
Sb 0.370 0.630 0.063
Sb 0.373 0.127 0.250
Sb 0.627 0.873 0.750
Sb 0.630 0.370 0.937
Sb 0.870 0.130 0.437
Sb 0.873 0.627 0.250

~~~~~

Record 1
Sr2SnH12Rh3: calculated PXRD pattern (Cu Kα (λ = 1.5418 Å)), based on the GGA-PBE geometry in Alexandria.

Cell and atoms:
Unit cell a=6.417 b=6.417 c=6.417 alpha=60.41 beta=60.41 gamma=60.41
Positions (direct):
Sr  0.111  0.111  0.111
Sr  0.889  0.889  0.889
Sn  0.500  0.500  0.500
H  0.066  0.627  0.627
H  0.198  0.198  0.629
H  0.198  0.629  0.198
H  0.371  0.802  0.802
H  0.373  0.373  0.934
H  0.373  0.934  0.373
H  0.627  0.066  0.627
H  0.627  0.627  0.066
H  0.629  0.198  0.198
H  0.802  0.371  0.802
H  0.802  0.802  0.371
H  0.934  0.373  0.373
Rh  0.000  0.500  0.500
Rh  0.500  0.000  0.500
Rh  0.500  0.500  0.000

Peak list (10 most intense, 15 to 90 degrees two-theta, by angle)
>>>

I pleaded with the universe to open a sinkhole under me so I’d disappear forever. Maybe there was a whole village of awkward as fuck people living down there - hidden away from society where we wouldn’t blurt out penis enlargement questions to beautiful women who came to the library to work in peace.

“Did you say penis enlargement?” She croaked the question with a horrified stare.

Not that I could blame her. At best, I was a weirdo and she’d ignore me forever. At worst, I was a pervert and she would need to alert the town. As my cheeks heated with embarrassment, my mouth opened and shut several times, before finally my brain and voice made some sort of connection, and I could form an explanation.

“I heard you say something about making a cock larger, and it not fitting in a ‘Tabitha?’”

Her expression morphed as the blood drained from her face and her eyes went wide before she whispered, “Oh no. I didn’t say that out loud, did I?”

“Yeah, you did. I thought maybe you worked for a doctor’s office. But someone said you write for websites or something.”

“I wish I worked for a doctor’s office right about now, because that would be a much better explanation than what the reality is.” She covered her reddening face with her hands.

“What’s the reality?” I asked standing up straighter and giving her what I hoped came off as a curious expression.

However, based on the grimace she gave me, she seemed mortified. Which she really shouldn’t be. I was the one who somehow thought penis enlargement questions were a great conversation starter.

“I’m… I write… ro-- romance books.”

My eyebrows lifted, and I smiled as I said, “Well that’s a perfectly good explanation.”

[Unrelated to this page: data records]
This entry pairs a crystal structure of VIn2O5 with its simulated XRD peak list. Radiation: λ = 1.5418 Å (Cu Kα). Structure: a crystal structure in Alexandria, relaxed with PBE+U.

Principal peaks in the range 10 to 90 degrees two-theta, low angle first:
- 16.9 deg, d = 5.237 Å, I 12, hkl 1 0 2
- 27.1 deg, d = 3.291 Å, I 19, hkl 2 0 2
- 30.3 deg, d = 2.954 Å, I 91, hkl 2 0 3
- 30.8 deg, d = 2.905 Å, I 100, hkl 0 1 3
- 35.1 deg, d = 2.557 Å, I 38, hkl 2 1 0
- 36.0 deg, d = 2.497 Å, I 19, hkl 0 0 6
- 41.2 deg, d = 2.191 Å, I 14, hkl 1 1 5
- 51.1 deg, d = 1.786 Å, I 65, hkl 0 2 0
- 57.9 deg, d = 1.593 Å, I 12, hkl 4 1 2
- 60.6 deg, d = 1.528 Å, I 22, hkl 2 2 3

Cell and atoms:
```
VIn2O5
1.0
7.3263 0.0000 0.0000
0.0000 3.5722 0.0000
0.0000 0.0000 14.9804
V In O
4 8 20
direct
0.1033 0.2500 0.0748 V
0.3967 0.7500 0.5748 V
0.6033 0.2500 0.4252 V
0.8967 0.7500 0.9252 V
0.1025 0.2500 0.4184 In
0.1769 0.2500 0.7606 In
0.3231 0.7500 0.2606 In
0.3975 0.7500 0.9184 In
0.6025 0.2500 0.0816 In
0.6769 0.2500 0.7394 In
0.8231 0.7500 0.2394 In
0.8975 0.7500 0.5816 In
0.0558 0.7500 0.3245 O
0.0656 0.7500 0.0412 O
0.1323 0.7500 0.8487 O
0.1553 0.7500 0.5047 O
0.2298 0.2500 0.1767 O
0.2702 0.7500 0.6767 O
0.3447 0.2500 0.0047 O
0.3677 0.2500 0.3487 O
0.4344 0.2500 0.5412 O
0.4442 0.2500 0.8245 O
0.5558 0.7500 0.1755 O
0.5656 0.7500 0.4588 O
0.6323 0.7500 0.6513 O
0.6553 0.7500 0.9953 O
0.7298 0.2500 0.3233 O
0.7702 0.7500 0.8233 O
0.8447 0.2500 0.4953 O
0.8677 0.2500 0.1513 O
0.9344 0.2500 0.9588 O
0.9442 0.2500 0.6755 O
```

----------

Record 1
Structure and calculated powder diffractogram of ZrAlCu2 (DFT lattice parameters and positions (PBE); Cu Kα X-rays).
No peak broadening, texture or thermal motion is included.

Most intense lines, 2θ = 15–90°, low angle first:
2θ 32.31, intensity 31
2θ 40.31, intensity 100
2θ 41.20, intensity 10
2θ 41.82, intensity 51
2θ 55.95, intensity 6
2θ 60.15, intensity 12
2θ 60.62, intensity 16
2θ 70.38, intensity 6
2θ 72.23, intensity 11
2θ 75.33, intensity 29
2θ 79.34, intensity 8
2θ 87.11, intensity 7

```
ZrAlCu2
1.0
3.0550 0.0000 0.0000
0.0000 3.0550 0.0000
0.0000 0.0000 6.5734
Zr Al Cu
1 1 2
direct
0.0000 0.0000 0.0000 Zr
0.0000 0.0000 0.5000 Al
0.5000 0.5000 0.2886 Cu
0.5000 0.5000 0.7114 Cu
```

Record 2
Structure and calculated powder diffractogram of NbCr3Cu2S8 (DFT lattice parameters and positions (PBE); Cu Kα X-rays).
No peak broadening, texture or thermal motion is included.

Most intense lines, 2θ = 15–90°, low angle first:
2θ 20.33, intensity 40
2θ 24.84, intensity 100
2θ 25.50, intensity 20
2θ 26.31, intensity 38
2θ 29.02, intensity 33
2θ 31.64, intensity 42
2θ 33.00, intensity 34
2θ 35.36, intensity 30
2θ 36.50, intensity 44
2θ 47.15, intensity 23
2θ 48.84, intensity 19
2θ 50.94, intensity 41

```
NbCr3Cu2S8
1.0
7.1689 0.0000 0.0000
0.0000 6.3682 0.0000
0.0000 0.0000 12.0012
Nb Cr Cu S
2 6 4 16
direct
0.0000 0.2135 0.0000 Nb
0.5000 0.7865 0.5000 Nb
0.0000 0.3505 0.2760 Cr
0.0000 0.7558 0.0980 Cr

“Uh huh,” She nodded with a slightly awkward smile, but there was tension in her shoulders like she was waiting for something.

My eyes narrowed a bit as what she meant by writing romance books sank in and questions formed in my brain as I said, “But…”

Her shoulders dropped and I paused. She closed her eyes with a sigh before she leaned forward, setting her forearms on the table. She stared at me with a slightly worried expression.

Materials data from another source follow:
- - -
Structure and computed powder XRD pattern of Y17Ho2 (a cell relaxed with PBE; copper Kα).
Neutral-atom scattering factors, no anomalous dispersion.

Peak list (6 most intense, 15 to 90 degrees two-theta, low angle first)
27.59°, I = 361; 30.15°, I = 257; 31.18°, I = 596; 31.52°, I = 1000; 31.97°, I = 567; 35.46°, I = 348

a b c (Å): 8.773 8.773 8.773
angles (deg): 79.33 79.33 79.33
Element x y z (fractional)
Y: 0.000 0.000 0.500
Y: 0.000 0.300 0.700
Y: 0.000 0.500 0.000
Y: 0.000 0.700 0.300
Y: 0.097 0.097 0.097
Y: 0.150 0.629 0.629
Y: 0.300 0.000 0.700
Y: 0.300 0.700 0.000
Y: 0.371 0.371 0.850
Y: 0.371 0.850 0.371
Y: 0.500 0.000 0.000
Y: 0.629 0.150 0.629
Y: 0.629 0.629 0.150
Y: 0.700 0.000 0.300
Y: 0.700 0.300 0.000
Y: 0.850 0.371 0.371
Y: 0.903 0.903 0.903
Ho: 0.320 0.320 0.320
Ho: 0.680 0.680 0.680

=====

This entry pairs a crystal structure of Ti2Ni3Te3O16 with its computed XRD peak list. Radiation: CuKα. Structure: a crystal structure in Alexandria, relaxed with GGA+U.

Largest 10 diffraction maxima, in order of rising 2θ, 2θ from 10° to 80°:
Position (°2θ)	I_rel
18.98	100
19.25	28
19.50	21
35.34	23
35.49	22
35.63	21
39.07	16
44.78	17
45.51	24
61.27	19

Unit cell a=10.6127 b=6.0502 c=9.3556 alpha=90.00 beta=91.72 gamma=90.00
Space group Cm (No. 8)
Asymmetric unit:
Ti1 0.0000 0.0000 0.0000 [2 per cell]
Ti2 0.1851 0.5000 0.4463 [2 per cell]
Ni1 0.0455 0.5000 0.7489 [2 per cell]
Ni2 0.4427 0.2492 0.2554 [4 per cell]
Te1 0.1904 0.0000 0.2454 [2 per cell]
Te2 0.2939 0.2509 0.7411 [4 per cell]
O1 0.0340 0.5000 0.3711 [2 per cell]
O2 0.0405 0.0000 0.3560 [2 per cell]
O3 0.1019 0.2103 0.1130 [4 per cell]
O4 0.1448 0.2779 0.6238 [4 per cell]
O5 0.2196 0.0000 0.8486 [2 per cell]
O6 0.2225 0.5000 0.8590 [2 per cell]
O7 0.2662 0.2519 0.3596 [4 per cell]
O8 0.3485 0.0000 0.1535 [2 per cell]
O9 0.3599 0.5000 0.6208 [2 per cell]
O10 0.3715 0.0000 0.6330 [2 per cell]
O11 0.3761 0.5000 0.1148 [2 per cell]
O12 0.4485 0.2529 0.8523 [4 per cell]

=====

Computed powder X-ray diffraction pattern of Na2AgTeO4 for Cu Kα (weighted mean of Kα1 and Kα2), from the PBE geometry in Alexandria.
Neutral-atom scattering factors, no anomalous dispersion.

Principal peaks in the range 10 to 80 degrees two-theta, by intensity:
- 15.9 deg, intensity 100.0
- 38.7 deg, intensity 89.4
- 32.2 deg, intensity 65.2
- 31.9 deg, intensity 65.1
- 52.4 deg, intensity 58.3
- 33.9 deg, intensity 54.9
- 15.8 deg, intensity 51.8
- 31.4 deg, intensity 28.7
- 28.7 deg, intensity 23.5
- 31.7 deg, intensity 19.3

```
16
Lattice="-3.2694 3.3115 5.2883 3.2694 -3.3115 5.2883 3.2694 3.3115 -5.2883" Properties=species:S:1:pos:R:3 pbc="T T T"
Na 0.0000 0.0000 0.0000
Na -1.6347 1.6557 2.6442
Na 0.0000 3.3115 0.0000
Na 1.6347 1.6557 2.6442
Ag 1.6347 1.6557 -2.6442
Ag 1.6347 -1.6557 2.6442
Te 3.2694 0.0000 0.0000
Te 0.0000 0.0000 5.2883
O 3.2694 -0.0054 2.0003
O 1.8544 1.6557 0.0741
O 4.6844 1.6557 0.0741
O 3.2694 3.3061 -2.0003
O 0.0000 0.0054 7.2886
O -1.4150 1.6557 5.2142
O 1.4150 1.6557 5.2142
- - -
End of the materials data:

“Okay, I can see all the questions running through your mind so I’ll get the embarrassment of it all done with. I write alien romance, which is exactly what it sounds like - with explicit sex scenes and all. As you can imagine it takes a bit of creativity to come up with a whole new species with every single detail being explained, including the size of the characters … ahem. To rub in my shame a bit more, the characters sort of talk to each other like they are in a movie in my head, and sometimes they talk to me as the director or, well … writer. And every now and then I argue with them … out loud.”

She gave me a straight lipped smile and a dimple popped on her cheek. It was the most adorable expression. The urge to kiss that dimple came over me, but when her smile faltered a little, I realized I’d been staring at her like a love sick pup.

“Well you are a lot more creative than I am,” I complimented and she exhaled a small laugh.

“I won’t be offended if you walk away quickly. I’ll, uh, try to find another quiet place to go to every day or possibly move to avoid the awkwardness that will follow all of this.”

“No!” I shouted, much louder than I should have in the library.

My eyes darted around the space after committing the cardinal sin. Thankfully, no one was located nearby, and I breathed out a sigh of relief.

“No?” She questioned.

“I mean, please don’t feel like you need to go somewhere else to work. I wouldn’t dream of walking away quickly. I’m actually intrigued by your, uh, profession.”

Her eyes brightened slightly as she studied me from her seated position, likely looking for the lie and not finding it. Not wanting to be intimidating, I pulled out the chair next to her and sat down.

“You’re interested in alien romance?” She asked in disbelief.

“Yes. So, tell me about it.”

Chapter 6